December 18 at 11.00, Moscow time, ACTP will hold the seminar on "Theory of magnetotrion-polaritons in transition metal dichalcogenide monolayers" by Dr. Vanik Shahnazaryan (ACTP, Moscow Institute of Physics and Technology).
December 11 at 11.00, Moscow time, ACTP will hold the seminar on "Generation of vortex electrons in tunneling ionization of polyatomic molecules: Exact results in the zero-range potential model" by Kirill Bazarov (MIPT).
December 4 at 11.00, Moscow time, ACTP will hold the seminar on "Thermodynamics of nuclear spins interacting with strongly localized electrons" by Dr. Dmitry Smirnov (Ioffe Institute).
November 27 at 11.00, Moscow time, ACTP will hold the seminar on "Quantum acoustics on superconducting qubits and surface acoustic waves" by Dr. Alexey Bolgar (Laboratory of Artificial Quantum Systems, Moscow Institute of Physics and Technology) and Dr. Shtefan Sanduleanu (Laboratory of Artificial Quantum Systems, Moscow Institute of Physics and Technology).
November 20 at 11.00, Moscow time, ACTP will hold the seminar on "Optical spin Hall effect: 20 years of studies" by Dr. Alexey Kavokin (ACTP, Moscow Institute of Physics and Technology).
November 13 at 11.00, Moscow time, ACTP will hold the seminar on "Polariton lattices as binarized neuromorphic networks" by Dr. Evgeny Sedov (Vladimir State University).
November 6 at 11.00, Moscow time, ACTP will hold the seminar on "Non-Hermitian trapping of Dirac polariton condensates" by Dr. Anton Nalitov (ACTP, Moscow Institute of Physics and Technology).
October 30 at 11.00, Moscow time, ACTP will hold the seminar on "Conserving approximations in many-body approaches to cavity quantum electrodynamics" by Professor Ilya Tokatly (Universidad del Pais Vasco).
October 23 at 11.00, Moscow time, ACTP will hold the seminar on "Path integral approach to bosonization and nonlinearities in exciton-polariton systems" by Anna Grudinina (RQC, National Research Nuclear University MEPHI).
October 16 at 11.00, Moscow time, ACTP will hold the seminar on "Exciton-polariton ring-shaped Josephson junction" by Dr. Nina Voronova (RQC, National Research Nuclear University MEPHI).
On Wednesday, October 9 at 11.00, Moscow time, ACTP will hold the seminar on "Formation of nonclassical and non-Gaussian states of a strong electromagnetic field due to its interaction with free electrons produced by ionization of a target gas" by Dr. Evgeny Andrianov (Moscow Institute of Physics and Technology).
On Wednesday, September 25 at 11.00, Moscow time, ACTP will hold the seminar on "Phase domain walls in coherently driven Bose-Einstein condensates" by Dr. Sergey Gavrilov (Osipyan Institute of Solid State Physics RAS).
On Wednesday, September 18 at 11.00, Moscow time, ACTP will hold the seminar on "Fabrication and investigation of semiconductor light-emitting diodes. Evolution from classical thin-film heterostructures to stretchable films based on arrays of nanowires" by Dr. Vladimir Neplokh (Moscow Institute of Physics and Technology, ACTP).
On Wednesday, September 11 at 11.00, Moscow time, ACTP will hold seminar by members of MIPT Center for Photonics and 2D Materials.
On Wednesday, September 4 at 11.00, Moscow time, ACTP will hold the seminar on "Atomistic and Continuum Models for Nanostructures: Theory and recent applications" by Prof. Daniele Barettin (Università Niccolò Cusano)
From the 30th of September to the 4th October 2024. The INTERNATIONAL CONFERENCE on Theoretical Physics and New Technologies
On Wednesday, June 5 at 15:00, Moscow time, ACTP will hold the seminar on "Qubits based on exciton polaritons condensates" by Prof. Alexey V. Kavokin (Moscow Institute of Physics and Technology, ACTP)
On Wednesday, May 29 at 15:00, Moscow time, ACTP will hold the seminar on "Electronic properties of van der Waals heterostructures with a relaxed moiré superlattices" by Prof. Vladimir V. Enaldiev (Moscow Institute of Physics and Technology, ACTP)
On Wednesday, May 22 at 15:00, Moscow time, ACTP will hold the seminar on "Quasiparticles in Andreev wires" by Prof. Vadim S. Khrapai (Institute of Solid State Physics RAS, Chernogolovka)
The Abrikosov Center for Theoretical Physics (ICTP) invites applications for short-term visits to the center. The ACTP will fund several one-month long visits during the second half of 2024. Successful applicants are expected to have PhD in physics and a significant track record in theoretical condensed matter physics or photonics. During their stay in Dolgoprudny, they are expected to initiate research projects in collaboration with the researchers of the ACTP. The application package should include CV, publication list, dates of intended visit and one-page summary of the proposed research project quoting the names of potential collaborators at the ACTP. More information on the ACTP is available at the website
The Abrikosov Center for Theoretical Physics (ACTP) at the Moscow Institute for Physics and Technology (MIPT) invites applications for several research fellow positions in theoretical condensed matter physics, photonics, quantum optics and information.
The Abrikosov Center for Theoretical Physics (ACTP) at the Moscow Institute for Physics and Technology (MIPT) invites applications for several research fellow positions in theoretical condensed matter physics, photonics, quantum optics and information.
On Wednesday, May 15 at 15:00, Moscow time, ACTP will hold the seminar on "Deep laser cooling of the thulium atom: on the way to a quantum simulator" by Prof. Alexey V. Akimov (Russian Quantum Center)
On Wednesday, April 3 at 15:00, Moscow time, ACTP will hold the seminar on "Transport experiments for Weyl semimetals" by Prof. Eduard V. Devyatov (Institute of Solid State Physics RAS, Chernogolovka)
On Wednesday, March 20 at 15:00, Moscow time, ACTP will hold the seminar on "Selected issues of the condensed matter theory from the experimentalist point of view" by Prof. Vadim V. Brazhkin (Institute for High Pressure Physics RAS)
On Wednesday, March 6 at 15:00, Moscow time, ACTP will hold the seminar on "Anisotropic Superconductivity Onset and Heterogeneous Superconductivity in FeSe and Organic Superconductors" by Prof. Pavel D. Grigoriev (Landau Institute for Theoretical Physics)
On Wednesday, February 21 at 15:00, Moscow time, ACTP will hold the seminar on "Spin density wave and triplet superconductivity in biased AB bilayer graphene" by Prof. Alexander L. Rakhmanov (Institute for Theoretical and Applied Electrodynamics, Russian Academy of Sciences)
On Wednesday, February 7 at 15:00, Moscow time, ACTP will hold the seminar on "Theoretical study of the ultrathin diamond films formation from multilayer graphene" by Prof. Pavel B. Sorokin (National University of Science and Technology MISiS)
On Wednesday, January 24 at 15:00, Moscow time, ACTP will hold the seminar on "Reaction-diffusive dynamics of number-conserving dissipative quantum state preparation" by Prof. Igor Burmistrov
On Wednesday, January 17 at 15:00, Moscow time, ACTP will hold the seminar on "Towards periodic arrays of coupled vortices in exciton-polariton condensates" by Dr. Sergey Alyatkin.
The Abrikosov Center for Theoretical Physics (ICTP) invites applications for short-term visits to the center. The ACTP will fund several one-month long visits during the second half of 2024. Successful applicants are expected to have PhD in physics and a significant track record in theoretical condensed matter physics or photonics. During their stay in Dolgoprudny, they are expected to initiate research projects in collaboration with the researchers of the ACTP. The application package should include CV, publication list, dates of intended visit and one-page summary of the proposed research project quoting the names of potential collaborators at the ACTP. More information on the ACTP is available at the website
The Abrikosov Center for Theoretical Physics (ACTP) at the Moscow Institute for Physics and Technology (MIPT) invites applications for several research fellow positions in theoretical condensed matter physics, photonics, quantum optics and information.
The Abrikosov Center for Theoretical Physics (ACTP) at the Moscow Institute for Physics and Technology (MIPT) invites applications for several research fellow positions in theoretical condensed matter physics, photonics, quantum optics and information.
On Wednesday, December 13 at 15:00, Moscow time, ACTP will hold the seminar on "Charge and spin instabilities in graphene and magnetic two-dimensional materials" by Dr. Andrey Katanin.
On Wednesday, December 6 at 15:00, Moscow time, ACTP will hold the seminar on "Unconventional superconductivity and paramagnetic Meissner response triggered by nonlocal pairing interaction in proximitized heterostructures" by Prof. Aleksandr Melnikov, ACTP.
On Wednesday, November 29 at 15:00, Moscow time, ACTP will hold the seminar on "Non-equilibrium bosonization approach and it's applications in mesoscopic physics" by Dr. Edvin Idrisov, ACTP.
On Wednesday, November 22 at 15:00, Moscow time, ACTP will hold theseminar on "Spatially inhomogeneous states in many-fermion systems" Dr. Alexander Rozhkov, Leading Research Scientist (ITAE RAS).
On Wednesday, October 25 at 15:00, Moscow time, ACTP will hold theseminar on "Role of lattice reconstruction in electronic properties of transition metal dichalcogenide (TMD) twisted bilayers" by Vladimir Enaldiev, PhD.
On Wednesday, September 27 at 15:00, Moscow time, ACTP will hold theseminar on "LK-99: the recent boom and possible interpretations" byProf. Alexey Kavokin.
On Wednesday, September 20 at 15:00, Moscow time, ACTP will hold theseminar on "Exciton transport in 2D materials" by Dr. Vanik Shahnazaryan.
On Wednesday, September 13 at 15:00, Moscow time, ACTP will hold theseminar on "Localization of ultracold atoms and polariton condensates inquasiperiodic lattices" by Dr. Dmitry Zezyulin.
On Wednesday, September 6 at 15:00, Moscow time, ACTP will hold theseminar on "Polariton condensation in the presence of a rotatingincoherent pump" by Prof. Alexey Yulin.
The ISCTP is a major scientific event of the year hosted by the Moscow Institute of Physics and Technology, the Alma Mater of several Nobel Prize winners. The aim of the conference is providing a forum for a large number of prominent theoretical physicists specialized in condensed matter physics, soft matter physics, biophysics, quantum technologies, photonics, metamaterials, many body physics, chaos, algorithms, topology and related topics. PhD students and young researchers are encouraged to participate and to present posters or short oral talks. The social program will include excursions in Moscow, the vibrant magapolis famous for its architectural monuments, museums and theaters. The ISCTP is meant to become an every year event. Itâs International Program committee is welcoming contributions from all those who value on-site meetings and informal communications in research.
On Wednesday, May 31, at 11:00 a.m. Moscow time, ACTP will hold theseminar on "Chiral molecular polaritons: cavities, analytical models,and applications" by Prof. Denis G. Baranov.
On Wednesday,May 24, at 11:00 a.m. Moscow time, ACTP will hold the seminar on "Superconducting quantum fluctuations in one dimension" byProf.Andrey Dmitrievich Zaikin.
On Wednesday,May 17, at 11:00 a.m. Moscow time, ACTP will hold the seminar on "Optical probing of collective modes in low-dimensional unconventional superconductors" by Ivan Iorsh.
On Wednesday, April 26, at 11:00 a.m. Moscow time, ACTP will hold the seminar on "Engineering and control of topological phases via accidental degeneracy of the modes" by Maxim Gorlach.
On Wednesday,April 19, at 11:00 a.m. Moscow time, ACTP will hold theseminar on"Dynamics of superconducting condensates within time-dependent Ginzburg - Landau theory with a complex relaxation time: history and recent development" by Alexander Melnikov.
On Wednesday,April 12, at 11:00 a.m. Moscow time, ACTP will hold theseminar on "Multiscale photonic-crystal structures" by Prof. Nikolay Gippius.
On Wednesday, April 5, at 11:00 a.m. Moscow time, ACTP will hold the seminar on "Light-matter interface coupled to a nanophotonic waveguide" by Dr. Alexandra Sheremet.
On Wednesday, March 29, at 11:00 a.m. Moscow time, ACTP will hold theseminar on "Asymmetric higher-harmonic SQUID as a Josephson diode" by doctor Yakov Fominov.
On Wednesday, March 22, at 11:00 a.m. Moscow time, ACTP will hold theseminar on "Beyond the Landau Lifshitz theory" by Prof. Yury Bunkov.
On Wednesday, March 15, at 11:00 a.m. Moscow time, ACTP will hold the seminar on "Quantum computations with cold calcium ions" by Prof. Kirill Lakhmanskiy.
OnWednesday, March 1, at 11:00 Moscow time, at the Abrikosov Center for Theoretical Physics, Professor Kirill Vitalievich Kavokin will make a report on the topic "Tinnitus: Statistical mechanics of the inner ear receptors".
On Wednesday, February 22, at 11:00 a.m. Moscow time, ACTP will hold the seminar on "Polariton rings in nonlinear regime: Spin-Meissner effect and Aharonov-Bohm effect for solitons" by Prof. Ivan Shelykh.
WPTS will be organised by the Abrikosov Center for Theoretical Physics (ACTP) at the Moscow Institute for Science and Technology (MIPT) from the 31st of January to the 6th of February 2023 in Tsakhadzor, Armenia.
On Wednesday, February 15, at 11:00 a.m. Moscow time, ACTP will hold the seminar on "Dynamic spin-triplet order induced by alternating electric fields in superconductor-ferromagnet-superconductor Josephson junctions" by Irina Bobkova.
On Wednesday, February 8, at 11:00 a.m. Moscow time, ACTP will hold the seminar on "Polariton Computing: from digital logic to analogue simulation" by Professor Pavlos Lagoudakis.
On Wednesday, January 25, at 11:00 a.m. Moscow time, ACTP will hold the seminar on "Towards the theory of types III and IV non-Hermitian Weyl fermions" by Zaur Alisultanov.
On Wednesday, January 18, at 11:00 a.m. Moscow time, ACTP will hold the seminar on "Microscopic theory of all-optical magnetization control in CrI3 monolayers" by Andrey Kudlis.
On Wednesday, January 11, at 11:00 a.m. Moscow time, ACTP will hold the seminar on "Optically trapped exciton-polariton condensates in magnetic fields" by Anton Nalitov.
On December 28, 2022, the grand opening of the new offices of the International Center for Theoretical Physics named after A.A. Abrikosov in the radio engineering building of the Moscow Institute of Physics and Technology.
On Wednesday, December 21, at 11:00 a.m. Moscow time, ACTP will hold the seminar on "Momentum alignment of photoexcited carriers and valley separation in low-dimensional Dirac materials" by Mikhail Portnoi.
On Wednesday, December 14, at 11:00 a.m. Moscow time, ACTP will hold the seminar on "Exciton-polariton full Bloch beams and ultrafast Rabi-oscillating photonic vortices" by Nina Voronova.
On Wednesday, December 7, ACTP will hold the seminar on "Many-body Localization in Disordered 1D Hubbard Model with Infinite Onsite Repulsion" by Boris Altshuler.
On Wednesday, November 30, at 11:00 a.m. Moscow time, ACTP will hold the seminar on "Local and nonlocal in correlated media" by Alexey Rubtsov. You can join us offline in 524 room of main MIPT building or online via link below.
On Wednesday, November 23, at 11:00 a.m. Moscow time, ACTP will hold the seminar on "Controlling many-body systems: Applications for quantum technologies" by Alexey Fedorov. You can join us offline in 532 room of main MIPT building or online via link below.
On Wednesday, November 16, at 11:00 a.m. Moscow time, ACTP will hold the seminar on "Exotic coexisting phases of superconductivity and ferromagnetism" by Zhanna Devizorova. You can join us offline in 532 room of main MIPT building or online via link below.
On Wednesday, November 9, at 11:00 a.m. Moscow time, ACTP will hold the seminar on "Searching for new superfluid states in a Fermi gas of atoms" by Andrei Turlapov. You can join us offline in 532 room of main MIPT building or online via link below.
Seminar Exciton transport in two-dimensional semiconductors. Date of the event: November 2, 2022 Speaker: Mikhail Glazov
Nobel Prize in Physics 2022 It was awarded to three quantum physicists who experimentally confirmed the validity of the Copenhagen interpretation of quantum mechanics.Speakers: Georgy Shlyapnikov, Alexey Kavokin, Alexey Akimov
_Data records from another source follow_
____________
No. 1
Diffraction record for Ba2TmMgNbO6. The powder X-ray diffraction pattern is computed, not measured: it uses a crystal structure in the Materials Project, relaxed with GGA-PBE and λ = 1.5418 Å (Cu Kα).

Principal peaks in the range 2θ = 10–80°, in order of rising 2θ:
d 4.430, rel. 22; d 3.300, rel. 53; d 2.988, rel. 100; d 2.856, rel. 39; d 2.215, rel. 32; d 2.064, rel. 53; d 1.779, rel. 18; d 1.725, rel. 20; d 1.605, rel. 15; d 1.494, rel. 18; d 1.477, rel. 14; d 1.324, rel. 12

Structure:
```
Ba2TmMgNbO6
1.0
5.1744 -2.9883 0.0000
5.1744 2.9883 0.0000
-3.4445 0.0000 5.7106
Ba Tm Mg Nb O
2 1 1 1 6
Cartesian
0.0000 0.0000 0.0000 Ba
3.4559 0.0000 3.4917 Ba
0.0051 0.0000 3.5442 Tm
3.4483 0.0000 0.5737 Mg
6.8984 0.0000 1.1717 Nb
6.0553 1.4672 2.3037 O
1.7067 0.0000 5.3558 O
4.3246 1.5083 5.3629 O
6.0553 -1.4672 2.3037 O
8.5915 0.0000 2.3103 O
4.3246 -1.5083 5.3629 O
```

No. 2
Diffraction record for Ba2TmMgNbO6. The powder X-ray diffraction pattern is computed, not measured: it uses a crystal structure in the Materials Project, relaxed with GGA-PBE and λ = 1.5418 Å (Cu Kα).

Principal peaks in the range 2θ = 10–80°, in order of rising 2θ:
d 4.939, rel. 15; d 3.330, rel. 56; d 2.973, rel. 100; d 2.890, rel. 51; d 2.218, rel. 34; d 2.080, rel. 17; d 2.072, rel. 22; d 1.778, rel. 19; d 1.716, rel. 20; d 1.700, rel. 21; d 1.625, rel. 18; d 1.487, rel. 18

Structure:
```
Ba2TmMgNbO6
1.0
5.1501 -2.9726 0.0000
5.1501 2.9726 0.0000
-3.4373 0.0000 5.8195
Ba Tm Mg Nb O
2 1 1 1 6
Cartesian
0.0000 0.0000 0.0000 Ba
3.4297 0.0000 4.2264 Ba
6.8650 0.0000 1.9631 Tm
3.4335 0.0000 1.2769 Mg
-0.0028 0.0000 4.4059 Nb
2.6206 1.4154 0.1842 O
0.8477 1.4708 3.3736 O
-1.6973 0.0000 3.3710 O
2.6206 -1.4154 0.1842 O
5.0727 0.0000 0.1934 O
0.8477 -1.4708 3.3736 O
```

No. 3
Diffraction record for Ba2TmMgNbO6. The powder X-ray diffraction pattern is computed, not measured: it uses a crystal structure in the Materials Project, relaxed with GGA-PBE and λ = 1.5418 Å (Cu Kα).

Principal peaks in the range 2θ = 10–80°, in order of rising 2θ:
d 4.992, rel. 16; d 3.146, rel. 100; d 3.125, rel. 43; d 2.970, rel. 37; d 2.757, rel. 28; d 2.153, rel. 46; d 2.031, rel. 12; d 2.020, rel. 21; d 1.808, rel. 21; d 1.747, rel. 19; d 1.573, rel. 12; d 1.535, rel. 11

Structure:
```
Ba2TmMgNbO6
1.0
-2.9697 3.1248 4.6078
2.9697 -3.1248 4.6078
2.9697 3.1248 -4.6078
Ba Tm Mg Nb O
2 1 1 1 6
Cartesian
0.0000 0.0000 1.7488 Ba
0.0000 0.0000 7.4668 Ba
0.0000 3.1248 0.0000 Tm
0.0000 0.0000 4.6078 Mg
2.9697 0.0000 0.0000 Nb
2.9697 0.0000 2.1803 O
1.5935 1.6449 0.0000 O
4.3459 1.6449 0.0000 O
-1.3762 1.4799 4.6078 O
1.3762 1.4799 4.6078 O
0.0000 3.1248 2.4275 O
```

No. 4
Diffraction record for Ba2NdMgRuO6. The powder X-ray diffraction pattern is computed, not measured: it uses a crystal structure in the Materials Project, relaxed with GGA-PBE and λ = 1.5418 Å (Cu Kα).

Principal peaks in the range 2θ = 10–80°, in order of rising 2θ:
____________
Seminar Exciton-mediated superconductivity. Date of the event: October 19, 2022 Speaker:Alexey Kavokin,Director of the Abrikosov ACTP
Yesterday, October 9, the International Conference on the Physics of 2D Materials began in Yerevan. A delegation from ACTP will be presenting reports, see the official website of the conference for details.
Optical methods for controlling Abrikosov vortices in a superconductor Superconductors are special materials in which electric current flows without resistance (dissipation). While the magnetic field does not penetrate into superconductors of one type at all, it can penetrate into superconductors of the second type, but in a very unusual way - in the form of Abrikosov vortices, small non-superconducting "threads" that are flowed around by non-dissipative supercurrents. While methods for generating vortices and controlling the state of a superconductor with a dense vortex lattice using a magnetic field and external currents are well known, optical methods that are more promising for practice have been relatively poorly studied until recently. The report will consider the physical principles underlying the original technique for controlling the position of an individual vortex using laser radiation. Optical methods for generating a vortex by light without applying a magnetic field, based on the Kibble-Zurik and Faraday effects, will also be presented.
The competition for the Research Fellow position is closed. Successful candidates will be interviewed in August and the results will be announced on September 1..
Director of ACTP about the center, its prospects, the future of theoretical physics, and his books for children.
Attracting young people to science is a priority for us â Valery Falkov attended the opening ceremony of the Abrikosov Center for Theoretical Physics.